**Wanted**
Your job: start at the top of the data further below and print each line, ending with the one that has "corrections: -770".

**File**
-- begin --
## CrTe2Cl (SCAN)

Data for a PBEsol-optimized structure of CrTe2Cl.

Cell lengths 4.1498, 4.1498, 5.7822 Å; angles 90.00, 90.00, 90.00 degrees
Space group P4/mmm (No. 123)
Unique sites:
1 Cr 0.0000 0.0000 0.0000
2 Te 0.0000 0.5000 0.5000
3 Cl 0.5000 0.5000 0.0000

Values from the calculation:
- offset from the most stable computed form (eV/atom) = 0.000
- spin magnetization (μB per formula unit) = 4.17
- volume (Å³/atom) = 24.893
- formation energy without anion corrections (eV/atom) = -0.026

---

## CrTeCl2 (SCAN)

Data for a PBEsol-optimized structure of CrTeCl2.

Cell lengths 3.2412, 3.1733, 10.1576 Å; angles 90.00, 97.22, 90.00 degrees
Space group P2/m (No. 10)
Unique sites:
1 Cr 0.0000 0.0000 0.0000
2 Te 0.5000 0.0000 0.5000
3 Cl 0.1617 0.5000 0.8499

Values from the calculation:
- offset from the most stable computed form (eV/atom) = 0.000
- spin magnetization (μB per formula unit) = 3.97
- volume (Å³/atom) = 25.911
- formation energy without anion corrections (eV/atom) = -0.815

---

## CrTeCl2 (SCAN)

Data for a PBEsol-optimized structure of CrTeCl2.

Cell lengths 3.0680, 5.9056, 10.9380 Å; angles 90.00, 90.00, 90.00 degrees
Space group Immm (No. 71)
Unique sites:
1 Cr 0.0000 0.0000 0.0000
2 Te 0.0000 0.0000 0.5000
3 Cl 0.0000 0.5000 0.3414

Values from the calculation:
- offset from the most stable computed form (eV/atom) = 0.085
- spin magnetization (μB per formula unit) = 2.90
- volume (Å³/atom) = 24.772
- formation energy without anion corrections (eV/atom) = -0.731

---

## CrTeCl2 (SCAN)

Data for a PBEsol-optimized structure of CrTeCl2.

Cell lengths 6.7851, 6.7851, 6.7851 Å; angles 90.00, 90.00, 90.00 degrees
Space group F-43m (No. 216)
Unique sites:
1 Cr 0.0000 0.0000 0.0000
2 Te 0.2500 0.2500 0.7500
3 Cl 0.0000 0.0000 0.5000
4 Cl 0.2500 0.2500 0.2500

Values from the calculation:
- offset from the most stable computed form (eV/atom) = 0.774
- spin magnetization (μB per formula unit) = 2.14
- volume (Å³/atom) = 19.523
- formation energy without anion corrections (eV/atom) = -0.041

---

Question: Which formula does entry 1 have?
Answer: CrTe2Cl

---

Question: The lowest spin magnetization belongs to which entry?
Answer: number 4


No. 1
Entry from Alexandria via LeMat-Bulk: crystalline ThGaHg at its relaxed geometry (PBE).

The calculated volume is 146 Å³/cell. The density of states at the Fermi level is 4.625 states/eV per cell. The energy above the most stable polymorph in this dataset comes out at 16.4 kJ/mol of atoms.

The space group is I4mm (No. 107) and the conventional cell measures 3.530, 3.530 and 11.754 Å, with angles of 90.00, 90.00 and 90.00 degrees. The distinct sites, in fractional coordinates, are Th at (0.000, 0.000, 0.000), Ga at (0.000, 0.000, 0.327) and Hg at (0.000, 0.000, 0.689).

***

No. 2
Entry from Alexandria via LeMat-Bulk: crystalline TlHgCl2 at its relaxed geometry (PBE).

As for the formation energy without anion corrections: -496 meV/atom. The calculated volume is 223 Å³/cell. The density of states at the Fermi level is 5.470 states/eV per cell. The energy above the most stable polymorph in this dataset comes out at 12.7 kJ/mol of atoms.

The space group is Cmmm (No. 65) and the conventional cell measures 4.973, 6.025 and 7.432 Å, with angles of 90.00, 90.00 and 90.00 degrees. The distinct sites, in fractional coordinates, are Tl at (0.000, 0.000, 0.000), Hg at (0.000, 0.000, 0.500) and Cl at (0.000, 0.500, 0.266).

***

No. 3
Entry from Alexandria via LeMat-Bulk: crystalline La8AlGa3I4 at its relaxed geometry (PBE).

As for the formation energy without anion corrections: -770 meV/atom. The calculated volume is 1621 Å³/cell. The density of states at the Fermi level is 41.702 states/eV per cell.
-- stop --

**Written answer**
## CrTe2Cl (SCAN)

Data for a PBEsol-optimized structure of CrTe2Cl.

Cell lengths 4.1498, 4.1498, 5.7822 Å; angles 90.00, 90.00, 90.00 degrees
Space group P4/mmm (No. 123)
Unique sites:
1 Cr 0.0000 0.0000 0.0000
2 Te 0.0000 0.5000 0.5000
3 Cl 0.5000 0.5000 0.0000

Values from the calculation:
- offset from the most stable computed form (eV/atom) = 0.000
- spin magnetization (μB per formula unit) = 4.17
- volume (Å³/atom) = 24.893
- formation energy without anion corrections (eV/atom) = -0.026

---

## CrTeCl2 (SCAN)

Data for a PBEsol-optimized structure of CrTeCl2.

Cell lengths 3.2412, 3.1733, 10.1576 Å; angles 90.00, 97.22, 90.00 degrees
Space group P2/m (No. 10)
Unique sites:
1 Cr 0.0000 0.0000 0.0000
2 Te 0.5000 0.0000 0.5000
3 Cl 0.1617 0.5000 0.8499

Values from the calculation:
- offset from the most stable computed form (eV/atom) = 0.000
- spin magnetization (μB per formula unit) = 3.97
- volume (Å³/atom) = 25.911
- formation energy without anion corrections (eV/atom) = -0.815

---

## CrTeCl2 (SCAN)

Data for a PBEsol-optimized structure of CrTeCl2.

Cell lengths 3.0680, 5.9056, 10.9380 Å; angles 90.00, 90.00, 90.00 degrees
Space group Immm (No. 71)
Unique sites:
1 Cr 0.0000 0.0000 0.0000
2 Te 0.0000 0.0000 0.5000
3 Cl 0.0000 0.5000 0.3414

Values from the calculation:
- offset from the most stable computed form (eV/atom) = 0.085
- spin magnetization (μB per formula unit) = 2.90
- volume (Å³/atom) = 24.772
- formation energy without anion corrections (eV/atom) = -0.731

---

## CrTeCl2 (SCAN)

Data for a PBEsol-optimized structure of CrTeCl2.

Cell lengths 6.7851, 6.7851, 6.7851 Å; angles 90.00, 90.00, 90.00 degrees
Space group F-43m (No. 216)
Unique sites:
1 Cr 0.0000 0.0000 0.0000
2 Te 0.2500 0.2500 0.7500
3 Cl 0.0000 0.0000 0.5000
4 Cl 0.2500 0.2500 0.2500

Values from the calculation:
- offset from the most stable computed form (eV/atom) = 0.774
- spin magnetization (μB per formula unit) = 2.14
- volume (Å³/atom) = 19.523
- formation energy without anion corrections (eV/atom) = -0.041

---

Question: Which formula does entry 1 have?
Answer: CrTe2Cl

---

Question: The lowest spin magnetization belongs to which entry?
Answer: number 4


No. 1
Entry from Alexandria via LeMat-Bulk: crystalline ThGaHg at its relaxed geometry (PBE).

The calculated volume is 146 Å³/cell. The density of states at the Fermi level is 4.625 states/eV per cell. The energy above the most stable polymorph in this dataset comes out at 16.4 kJ/mol of atoms.

The space group is I4mm (No. 107) and the conventional cell measures 3.530, 3.530 and 11.754 Å, with angles of 90.00, 90.00 and 90.00 degrees. The distinct sites, in fractional coordinates, are Th at (0.000, 0.000, 0.000), Ga at (0.000, 0.000, 0.327) and Hg at (0.000, 0.000, 0.689).

***

No. 2
Entry from Alexandria via LeMat-Bulk: crystalline TlHgCl2 at its relaxed geometry (PBE).

As for the formation energy without anion corrections: -496 meV/atom. The calculated volume is 223 Å³/cell. The density of states at the Fermi level is 5.470 states/eV per cell. The energy above the most stable polymorph in this dataset comes out at 12.7 kJ/mol of atoms.

The space group is Cmmm (No. 65) and the conventional cell measures 4.973, 6.025 and 7.432 Å, with angles of 90.00, 90.00 and 90.00 degrees. The distinct sites, in fractional coordinates, are Tl at (0.000, 0.000, 0.000), Hg at (0.000, 0.000, 0.500) and Cl at (0.000, 0.500, 0.266).

***

No. 3
Entry from Alexandria via LeMat-Bulk: crystalline La8AlGa3I4 at its relaxed geometry (PBE).

As for the formation energy without anion corrections: -770 meV/atom. The calculated volume is 1621 Å³/cell. The density of states at the Fermi level is 41.702 states/eV per cell.